
How Platforms Can Stem Abuses of Livestreaming After the Storming of the Capitol


January 15, 2021

A livestream video shot by a newly-elected West Virginia lawmaker shows a disturbing gap between what a mob of Trump supporters who attacked the Capitol thought about the events of January 6 and what the rest of the world actually saw.

Derrick Evans, a freshman member of the West Virginia House of Delegates, viewed fellow rioters swarming around him and forcing entry into the Capitol as a celebration. He was visibly giddy. But for horror-struck viewers, it was a violent act of sedition that led to the deaths of five people, one of the most shameful days in American history. Mr. Evans was later arrested and resigned from his post. He faces federal charges for his role in the attack.

Livestreaming has become a tool to broadcast hate and, as aptly described by Ben Smith in his latest column for The New York Times, an exercise in branding for white nationalists. Not only can extremists draw attention to themselves, but they can also earn money by airing their exploits for their followers, creating a feedback loop that rewards hate.

On the livestreaming site Dlive, Tim Gionet, a white nationalist who uses the alias “Baked Alaska”, earned $2,000 for broadcasting himself entering Congressional offices for his more than 16,000 fans. Mr. Gionet has shown up on the white supremacy radar screen multiple times; he was also at the Unite the Right white supremacist rally in Charlottesville in 2017, an event that resulted in the death of Heather Heyer.

The January 6 insurrection money was given to Mr. Gionet via “lemons,” a currency Dlive uses that allows followers to tip streamers and which can then be converted into actual money. More than 150,000 people watched Dlive on January 6, and more than 95% of those views went to far-right streamers. Dlive has since suspended the Baked Alaska channel.

Platforms have done too little to moderate the growing problem of extremist livestream content. Instead, companies are responding reactively, as opposed to creating proactive, sensible policies that prevent extremists from broadcasting hate in the first place.

In the wake of the 2019 Christchurch, New Zealand mosque shootings, which the killer initially broadcasted on Facebook, and the synagogue shootings in Poway, California, and Halle, Germany, ADL recommended various ways platforms can curb the potential abuses of livestreaming. What have companies done since then?

In response to mounting public pressure after these shootings, YouTube changed its livestreaming policy so that users must have at least 1,000 channel subscribers to livestream on mobile. Users who have fewer subscribers can still livestream through a computer and webcam. But this begs the question of why those with smaller subscription bases are still allowed to use computers and webcams. And while the policy of having a minimum number of subscribers to livestream is a useful one, it should be applied across all devices, not just mobile.

Moreover, although the general policy of having a minimum number of subscribers to livestream is a useful one, imposing the low threshold of 1,000 channel subscribers to livestream does not address performance crime. Any demagogue can easily amass that number.

For its part, Facebook announced on May 14, 2019, that it would apply a “one strike” policy to its Live function. “From now on, anyone who violates our most serious policies will be restricted from using Live for set periods of time—for example 30 days—starting on their first offense,” the company posted. “For instance, someone who shares a link to a statement from a terrorist group with no context will now be immediately blocked from using Live for a set period of time.” Facebook’s vague commitment to restricting people who violate their policies from using Live for “set periods of time” is another example of its often opaque community guidelines. Furthermore, a 30-day suspension from Live is a slap on the wrist, especially if someone violates Facebook’s “most serious policies.”  

Last year, Amazon’s livestreaming platform Twitch announced it had doubled its safety operations team's size and added new tools to assist its volunteer moderators after the Halle, Germany killer used the platform to stream his crimes. It also announced that it would create an advisory council of experienced users, online safety experts and anti-bullying advocates to help improve safety on the site, and it has. But this hardly constitutes a policy. We also have no idea how many platform-wide or community moderators Twitch has, what kind of training they undergo, or how many hours per week they work. How does Twitch determine whether, in light of these changes, the platform is safer? What data does it track? Twitch is the only major platform that has yet to issue any transparency report. Its policy on livestreaming, or lack thereof, raises more questions than it supplies answers.

On January 9, Dlive announced that it had suspended the accounts of seven far-right streamers and planned to refund the lemons donated to these channels on or after January 6. These “donors” do not deserve to get their money back and they should be suspended from Dlive for financing hate. These followers generated demand for content related to the violent storming of the Capitol and established incentives for the people behind the livestreaming channels to engage in extremist activity. Playing whack-a-mole with bad actors or individual livestreams does not get at the fact that Dlive has created an ecosystem in which extremists jockey for attention in part because it lines their pockets. Dlive, it should be noted, takes a 25% cut of every “donation.” As evidenced by the high traffic it saw last week, its profits spike with the influx of far-right channels and their fans. As we’ve seen over and over, facilitating and spreading extremist content on a platform is a part of the business model -- a feature, not a bug.

# Attached: records of crystals
'''
Entry 1:
! YVFe11 | the Materials Project database | PBE-GGA | optimized geometry; values from VASP
! **Total magnetic moment**: 20.4 μB per formula unit
! **Formation enthalpy at 0 K**: -5.5 kJ per mole of atoms
! **Calculated volume**: 167.8 Å³/cell
&SYSTEM
  ibrav = 0, nat = 13, ntyp = 3
/
ATOMIC_SPECIES
Y 88.91 Y.upf
V 50.94 V.upf
Fe 55.84 Fe.upf
CELL_PARAMETERS angstrom
0.576 4.482 1.241
5.699 0.937 2.818
2.133 -1.071 -5.967
ATOMIC_POSITIONS crystal
Y 0.005 0.995 0.005
V 0.631 0.369 0.631
Fe 0.501 0.000 0.501
Fe 0.001 0.000 0.501
Fe 0.501 0.499 0.000
Fe 0.001 0.499 0.000
Fe 0.729 0.771 0.229
Fe 0.271 0.229 0.771
Fe 0.500 0.776 0.775
Fe 0.500 0.225 0.224
Fe 0.363 0.637 0.363
Fe 0.999 0.359 0.358
Fe 0.999 0.642 0.641



Entry 2:
! Fe74W13 | the Materials Project database | PBE-GGA | optimized geometry; values from VASP
! **Total magnetic moment**: 140.7 μB per formula unit
! **Formation enthalpy at 0 K**: 5.8 kJ per mole of atoms
! **Calculated volume**: 1047.9 Å³/cell
&SYSTEM
  ibrav = 0, nat = 87, ntyp = 2
/
ATOMIC_SPECIES
Fe 55.84 Fe.upf
W 183.84 W.upf
CELL_PARAMETERS angstrom
0.099 3.768 6.697
3.773 -6.653 0.746
17.950 7.075 -1.308
ATOMIC_POSITIONS crystal
Fe 0.709 0.523 0.333
Fe 0.042 0.857 0.667
Fe 0.376 0.190 0.000
Fe 0.645 0.270 0.270
Fe 0.979 0.603 0.603
Fe 0.312 0.937 0.937
Fe 0.249 0.873 0.063
Fe 0.582 0.207 0.396
Fe 0.916 0.540 0.730
Fe 0.523 0.709 0.333
Fe 0.857 0.042 0.667
Fe 0.190 0.376 0.000
Fe 0.873 0.249 0.063
Fe 0.207 0.582 0.396
Fe 0.540 0.916 0.730
Fe 0.270 0.645 0.270
Fe 0.603 0.979 0.603
Fe 0.937 0.312 0.937
Fe 0.687 0.687 0.062
Fe 0.020 0.020 0.395
Fe 0.353 0.353 0.729
Fe 0.750 0.939 0.125
Fe 0.083 0.273 0.458
Fe 0.416 0.606 0.792
Fe 0.939 0.750 0.125
Fe 0.273 0.083 0.458
Fe 0.606 0.416 0.792
Fe 0.082 0.082 0.272
Fe 0.415 0.415 0.605
Fe 0.748 0.748 0.938
Fe 0.398 0.208 0.208
Fe 0.731 0.541 0.541
Fe 0.065 0.875 0.875
Fe 0.208 0.398 0.208
Fe 0.541 0.731 0.541
Fe 0.875 0.065 0.875
Fe 0.000 0.000 0.000
Fe 0.333 0.333 0.333
Fe 0.735 0.011 0.333
Fe 0.067 0.344 0.667
Fe 0.402 0.678 0.000
Fe 0.509 0.107 0.107
Fe 0.843 0.441 0.441
Fe 0.176 0.775 0.774
Fe 0.950 0.548 0.226
Fe 0.283 0.882 0.559
Fe 0.617 0.215 0.893
Fe 0.011 0.735 0.333
Fe 0.344 0.067 0.667
Fe 0.678 0.402 0.000
Fe 0.548 0.950 0.226
Fe 0.882 0.283 0.559
Fe 0.215 0.617 0.893
Fe 0.107 0.509 0.107
Fe 0.441 0.843 0.441
Fe 0.775 0.176 0.774
Fe 0.839 0.839 0.241
Fe 0.173 0.173 0.576
Fe 0.506 0.506 0.907
Fe 0.732 0.410 0.134
Fe 0.066 0.742 0.467
Fe 0.399 0.077 0.800
Fe 0.410 0.732 0.134
Fe 0.742 0.066 0.467
Fe 0.077 0.399 0.800
Fe 0.414 0.414 0.092
Fe 0.747 0.747 0.426
Fe 0.082 0.082 0.758
Fe 0.878 0.199 0.199
Fe 0.211 0.533 0.533
Fe 0.543 0.866 0.866
Fe 0.199 0.878 0.199
Fe 0.533 0.211 0.533
Fe 0.866 0.543 0.866
W 0.966 0.333 0.333
W 0.295 0.667 0.667
W 0.633 0.000 0.000
W 0.000 0.633 0.000
W 0.333 0.966 0.333
W 0.667 0.295 0.667
W 0.578 0.578 0.211
W 0.915 0.915 0.543
W 0.244 0.244 0.878
W 0.122 0.122 0.122
W 0.455 0.455 0.455
W 0.790 0.790 0.791
W 0.667 0.667 0.667
'''

Below is a list of recommendations to stem the abuses of livestreaming, eliminate the profit motive for extremist activity, and better moderate hateful content.

  • Only verified users can livestream. Users who provide personal information to livestreaming platforms cannot cloak themselves under anonymity and can be held accountable. 
  • Awarding gradual access. First-time streamers, or relatively new streamers, have limits placed on the number of viewers who can watch their videos. Their numbers can be increased if they have a record of obeying a platform’s community guidelines.
  • Prevent livestream links to and from problematic websites. A user who accesses a livestreaming link from a website known for being lenient on white supremacists and other extremists should be directed away from the livestream link once the livestreaming platform recognizes the website user is being linked through.
  • Require more product engagement to continue livestreaming. Users who are livestreaming should be prompted with a pop up that they have to click every 10 minutes that allows them to continue streaming. This forces the livestreamer to be more involved with the stream, which would be difficult to do if they are actively engaged in criminal activity.
  • Delay for viewers. If the user is not verified, there should be a significant delay in the broadcast. This can provide moderators and AI tools enough time to act should the content violate terms of service or stream unlawful behavior.
  • More investment in tools that better capture violative livestreaming content. It should not take a murderous riot to weed out bad actors on a platform. Content moderation must be a continuous effort, not something done in quick response to a national tragedy.

Extremists livestream hate crimes because it nets them notoriety, control over their narratives, and money. Policies moderating livestreaming must get at these motivations instead of implementing superficial punishments that merely place a bandage over the problem. Hate and harassment are on the rise in America, and with this, companies must be more vigilant in making their platforms safer for everyone.